### File
........
The following is a theoretical powder diffractogram of SrMoF5. It was derived from the PBE+U geometry in Alexandria, using Cu Kα X-rays.
Lines closer than 0.1° are merged.

Principal peaks in the range 2θ = 15–90°, in order of falling intensity:
- 23.31 deg, I 100.0
- 15.70 deg, I 62.4
- 31.60 deg, I 45.4
- 26.06 deg, I 42.0
- 16.07 deg, I 40.2
- 43.28 deg, I 24.6
- 49.57 deg, I 21.7
- 40.69 deg, I 19.2
- 36.00 deg, I 18.4
- 19.02 deg, I 14.5

Atomic structure:
a = 6.134 Å, b = 6.134 Å, c = 8.071 Å
α = 107.21°, β = 107.21°, γ = 99.06°
Positions (direct):
Sr  0.085  0.915  0.750
Sr  0.915  0.085  0.250
Mo  0.000  0.500  0.000
Mo  0.500  0.000  0.500
F  0.158  0.233  0.052
F  0.205  0.795  0.250
F  0.206  0.619  0.868
F  0.233  0.158  0.552
F  0.381  0.794  0.632
F  0.619  0.206  0.368
F  0.767  0.842  0.448
F  0.794  0.381  0.132
F  0.795  0.205  0.750
F  0.842  0.767  0.948



The following is a theoretical powder diffractogram of TiMo2F. It was derived from the PBE+U geometry in Alexandria, using Cu Kα X-rays.
Lines closer than 0.1° are merged.

Principal peaks in the range 2θ = 15–90°, in order of falling intensity:
- 33.31 deg, I 100.0
- 44.15 deg, I 58.8
- 33.54 deg, I 51.2
- 47.99 deg, I 38.0
- 41.19 deg, I 30.6
- 23.54 deg, I 28.3
- 65.19 deg, I 22.8
- 37.64 deg, I 22.6
- 62.68 deg, I 18.3
- 56.56 deg, I 17.3

Atomic structure:
a = 7.558 Å, b = 7.558 Å, c = 4.443 Å
α = 90.00°, β = 90.00°, γ = 90.00°
Positions (direct):
Ti  0.000  0.000  0.000
Ti  0.000  0.500  0.250
Ti  0.500  0.000  0.750
Ti  0.500  0.500  0.500
Mo  0.164  0.250  0.625
Mo  0.250  0.664  0.875
Mo  0.250  0.836  0.375
Mo  0.336  0.250  0.125
Mo  0.664  0.750  0.125
Mo  0.750  0.164  0.375
Mo  0.750  0.336  0.875
Mo  0.836  0.750  0.625
F  0.000  0.000  0.500
F  0.000  0.500  0.750
F  0.500  0.000  0.250
F  0.500  0.500  0.000



The following is a theoretical powder diffractogram of Tl2MoF5. It was derived from the PBE+U geometry in Alexandria, using Cu Kα X-rays.
Lines closer than 0.1° are merged.

Principal peaks in the range 2θ = 15–90°, in order of falling intensity:
- 26.38 deg, I 100.0
- 27.26 deg, I 95.6
- 26.07 deg, I 52.7
- 27.34 deg, I 45.9
- 47.78 deg, I 41.8
- 38.14 deg, I 40.0
- 47.28 deg, I 27.6
- 45.63 deg, I 27.0
- 48.28 deg, I 23.5
- 38.45 deg, I 22.0

Atomic structure:
a = 7.751 Å, b = 7.751 Å, c = 8.111 Å
α = 119.23°, β = 119.23°, γ = 49.77°
Positions (direct):
Tl  0.014  0.986  0.500
Tl  0.662  0.693  0.516
Tl  0.693  0.662  0.016
Tl  0.986  0.014  0.000
Mo  0.338  0.339  0.508
Mo  0.339  0.338  0.008
F  0.070  0.274  0.881
F  0.096  0.684  0.128
F  0.231  0.446  0.758
F  0.274  0.070  0.381
F  0.403  0.609  0.636
F  0.446  0.231  0.258
F  0.583  0.993  0.889
F  0.609  0.403  0.136
F  0.684  0.096  0.628
F  0.993  0.583  0.389

=====

Starting from the GGA+U geometry in Alexandria, the X-ray diffraction stick pattern of TlV3O8 was simulated for copper Kα.
No peak broadening, texture or thermal motion is included.

Structure:
Unit cell a=5.1569 b=8.7270 c=8.1675 alpha=90.00 beta=100.96 gamma=90.00
Element x y z (fractional)
Tl: 0.0091 0.2500 0.4451
Tl: 0.9910 0.7500 0.5549
V: 0.0750 0.2500 0.9345
V: 0.4557 0.5573 0.1770
V: 0.4557 0.9427 0.1770
V: 0.5443 0.0573 0.8230
V: 0.5443 0.4427 0.8230
V: 0.9250 0.7500 0.0655
O: 0.0769 0.7500 0.9081
O: 0.1333 0.6041 0.2110
O: 0.1333 0.8959 0.2110
O: 0.3277 0.0897 0.9970
O: 0.3277 0.4103 0.9970
O: 0.3985 0.2500 0.7541
O: 0.4038 0.5546 0.6709
O: 0.4038 0.9454 0.6709
O: 0.5962 0.0546 0.3291
O: 0.5962 0.4454 0.3291
O: 0.6015 0.7500 0.2459
O: 0.6723 0.5897 0.0030
O: 0.6723 0.9103 0.0030
O: 0.8667 0.1041 0.7890
O: 0.8667 0.3959 0.7890
O: 0.9231 0.2500 0.0919

Main lines, low angle first (2θ from 10° to 90°):
hkl, d_spacing, 2theta, I (rel.)
1 0 -1, 4.704, 18.87, 25
1 0 1, 3.955, 22.48, 22
0 2 1, 3.833, 23.21, 32
0 1 2, 3.643, 24.43, 43
1 0 -2, 3.482, 25.59, 33
1 2 0, 3.305, 26.98, 100
0 2 2, 2.952, 30.27, 34
0 3 4, 1.651, 55.66, 22
........

### What to do
Could you retype the calculation results earlier on from the first line to the one with "0.0919" without additions?

### Solution
The following is a theoretical powder diffractogram of SrMoF5. It was derived from the PBE+U geometry in Alexandria, using Cu Kα X-rays.
Lines closer than 0.1° are merged.

Principal peaks in the range 2θ = 15–90°, in order of falling intensity:
- 23.31 deg, I 100.0
- 15.70 deg, I 62.4
- 31.60 deg, I 45.4
- 26.06 deg, I 42.0
- 16.07 deg, I 40.2
- 43.28 deg, I 24.6
- 49.57 deg, I 21.7
- 40.69 deg, I 19.2
- 36.00 deg, I 18.4
- 19.02 deg, I 14.5

Atomic structure:
a = 6.134 Å, b = 6.134 Å, c = 8.071 Å
α = 107.21°, β = 107.21°, γ = 99.06°
Positions (direct):
Sr  0.085  0.915  0.750
Sr  0.915  0.085  0.250
Mo  0.000  0.500  0.000
Mo  0.500  0.000  0.500
F  0.158  0.233  0.052
F  0.205  0.795  0.250
F  0.206  0.619  0.868
F  0.233  0.158  0.552
F  0.381  0.794  0.632
F  0.619  0.206  0.368
F  0.767  0.842  0.448
F  0.794  0.381  0.132
F  0.795  0.205  0.750
F  0.842  0.767  0.948



The following is a theoretical powder diffractogram of TiMo2F. It was derived from the PBE+U geometry in Alexandria, using Cu Kα X-rays.
Lines closer than 0.1° are merged.

Principal peaks in the range 2θ = 15–90°, in order of falling intensity:
- 33.31 deg, I 100.0
- 44.15 deg, I 58.8
- 33.54 deg, I 51.2
- 47.99 deg, I 38.0
- 41.19 deg, I 30.6
- 23.54 deg, I 28.3
- 65.19 deg, I 22.8
- 37.64 deg, I 22.6
- 62.68 deg, I 18.3
- 56.56 deg, I 17.3

Atomic structure:
a = 7.558 Å, b = 7.558 Å, c = 4.443 Å
α = 90.00°, β = 90.00°, γ = 90.00°
Positions (direct):
Ti  0.000  0.000  0.000
Ti  0.000  0.500  0.250
Ti  0.500  0.000  0.750
Ti  0.500  0.500  0.500
Mo  0.164  0.250  0.625
Mo  0.250  0.664  0.875
Mo  0.250  0.836  0.375
Mo  0.336  0.250  0.125
Mo  0.664  0.750  0.125
Mo  0.750  0.164  0.375
Mo  0.750  0.336  0.875
Mo  0.836  0.750  0.625
F  0.000  0.000  0.500
F  0.000  0.500  0.750
F  0.500  0.000  0.250
F  0.500  0.500  0.000



The following is a theoretical powder diffractogram of Tl2MoF5. It was derived from the PBE+U geometry in Alexandria, using Cu Kα X-rays.
Lines closer than 0.1° are merged.

Principal peaks in the range 2θ = 15–90°, in order of falling intensity:
- 26.38 deg, I 100.0
- 27.26 deg, I 95.6
- 26.07 deg, I 52.7
- 27.34 deg, I 45.9
- 47.78 deg, I 41.8
- 38.14 deg, I 40.0
- 47.28 deg, I 27.6
- 45.63 deg, I 27.0
- 48.28 deg, I 23.5
- 38.45 deg, I 22.0

Atomic structure:
a = 7.751 Å, b = 7.751 Å, c = 8.111 Å
α = 119.23°, β = 119.23°, γ = 49.77°
Positions (direct):
Tl  0.014  0.986  0.500
Tl  0.662  0.693  0.516
Tl  0.693  0.662  0.016
Tl  0.986  0.014  0.000
Mo  0.338  0.339  0.508
Mo  0.339  0.338  0.008
F  0.070  0.274  0.881
F  0.096  0.684  0.128
F  0.231  0.446  0.758
F  0.274  0.070  0.381
F  0.403  0.609  0.636
F  0.446  0.231  0.258
F  0.583  0.993  0.889
F  0.609  0.403  0.136
F  0.684  0.096  0.628
F  0.993  0.583  0.389

=====

Starting from the GGA+U geometry in Alexandria, the X-ray diffraction stick pattern of TlV3O8 was simulated for copper Kα.
No peak broadening, texture or thermal motion is included.

Structure:
Unit cell a=5.1569 b=8.7270 c=8.1675 alpha=90.00 beta=100.96 gamma=90.00
Element x y z (fractional)
Tl: 0.0091 0.2500 0.4451
Tl: 0.9910 0.7500 0.5549
V: 0.0750 0.2500 0.9345
V: 0.4557 0.5573 0.1770
V: 0.4557 0.9427 0.1770
V: 0.5443 0.0573 0.8230
V: 0.5443 0.4427 0.8230
V: 0.9250 0.7500 0.0655
O: 0.0769 0.7500 0.9081
O: 0.1333 0.6041 0.2110
O: 0.1333 0.8959 0.2110
O: 0.3277 0.0897 0.9970
O: 0.3277 0.4103 0.9970
O: 0.3985 0.2500 0.7541
O: 0.4038 0.5546 0.6709
O: 0.4038 0.9454 0.6709
O: 0.5962 0.0546 0.3291
O: 0.5962 0.4454 0.3291
O: 0.6015 0.7500 0.2459
O: 0.6723 0.5897 0.0030
O: 0.6723 0.9103 0.0030
O: 0.8667 0.1041 0.7890
O: 0.8667 0.3959 0.7890
O: 0.9231 0.2500 0.0919